• Listing:
No. 1
PrNiSn: relaxed, PBE.

a b c (Å): 7.6201 4.6512 7.4976
angles (deg): 90.00 90.00 90.00
Space group Pnma (No. 62)
Asymmetric unit:
Pr: 0.0259 0.2500 0.1927 (multiplicity 4)
Ni: 0.1796 0.7500 0.4218 (multiplicity 4)
Sn: 0.1832 0.2500 0.5963 (multiplicity 4)

As for the total energy: -0.20089 hartree per atom. As for the density: 8.0 g/cm³. Its crystal system is orthorhombic.

***

No. 2
Pr9Ni24Sn49: relaxed, PBE.

a b c (Å): 16.9343 12.0039 17.1386
angles (deg): 90.00 90.23 90.00
Space group C2/m (No. 12)
Asymmetric unit:
Pr: 0.0000 0.0000 0.0000 (multiplicity 2)
Pr: 0.0001 0.2492 0.2495 (multiplicity 8)
Pr: 0.2500 0.2500 0.0000 (multiplicity 4)
Pr: 0.2500 0.2500 0.5000 (multiplicity 4)
Ni: 0.0803 0.3216 0.0802 (multiplicity 8)
Ni: 0.0806 0.0000 0.2398 (multiplicity 4)
Ni: 0.0807 0.1776 0.5801 (multiplicity 8)
Ni: 0.0810 0.5000 0.7407 (multiplicity 4)
Ni: 0.1602 0.3390 0.3391 (multiplicity 8)
Ni: 0.1608 0.1608 0.8394 (multiplicity 8)
Ni: 0.2403 0.0000 0.0795 (multiplicity 4)
Ni: 0.2405 0.5000 0.5799 (multiplicity 4)
Sn: 0.0003 0.5000 0.1310 (multiplicity 4)
Sn: 0.0000 0.5000 0.5000 (multiplicity 2)
Sn: 0.0012 0.0000 0.3703 (multiplicity 4)
Sn: 0.0594 0.5000 0.3142 (multiplicity 4)
Sn: 0.0634 0.0000 0.8064 (multiplicity 4)
Sn: 0.0626 0.2544 0.4369 (multiplicity 8)
Sn: 0.0649 0.2553 0.9356 (multiplicity 8)
Sn: 0.1218 0.3740 0.6225 (multiplicity 8)
Sn: 0.1277 0.5000 0.9977 (multiplicity 4)
Sn: 0.1296 0.0000 0.4986 (multiplicity 4)
Sn: 0.1302 0.1315 0.1300 (multiplicity 8)
Sn: 0.1831 0.5000 0.4414 (multiplicity 4)
Sn: 0.1841 0.3720 0.1857 (multiplicity 8)
Sn: 0.1858 0.1282 0.6839 (multiplicity 8)
Sn: 0.1859 0.1302 0.3157 (multiplicity 8)
Sn: 0.1860 0.3692 0.8127 (multiplicity 8)
Sn: 0.1949 0.0000 0.9362 (multiplicity 4)

The value obtained for the magnetization is 0.1 μB per cell. As for the total energy: -0.18280 hartree per atom. As for the density: 8.1 g/cm³. Its crystal system is monoclinic.

***

No. 3
Pr6Ni3Sn14: relaxed, PBE.

a b c (Å): 4.5853 4.5948 27.6939
angles (deg): 90.00 90.00 90.00
Space group Pmm2 (No. 25)
Asymmetric unit:
Pr: 0.0000 0.0000 0.0000 (multiplicity 1)
Pr: 0.0000 0.0000 0.3706 (multiplicity 1)
Pr: 0.0000 0.5000 0.4998 (multiplicity 1)
Pr: 0.0000 0.5000 0.8704 (multiplicity 1)
Pr: 0.5000 0.0000 0.6831 (multiplicity 1)
Pr: 0.5000 0.5000 0.1852 (multiplicity 1)
Ni: 0.5000 0.0000 0.5561 (multiplicity 1)
Ni: 0.5000 0.5000 0.0567 (multiplicity 1)
Ni: 0.5000 0.5000 0.3142 (multiplicity 1)
Sn: 0.0000 0.0000 0.1852 (multiplicity 1)
Sn: 0.0000 0.0000 0.5949 (multiplicity 1)
Sn: 0.0000 0.0000 0.7782 (multiplicity 1)
Sn: 0.0000 0.5000 0.0953 (multiplicity 1)
Sn: 0.0000 0.5000 0.2751 (multiplicity 1)
Sn: 0.0000 0.5000 0.6856 (multiplicity 1)
Sn: 0.5000 0.0000 0.0953 (multiplicity 1)
Sn: 0.5000 0.0000 0.2750 (multiplicity 1)
Sn: 0.5000 0.0000 0.4664 (multiplicity 1)
Sn: 0.5000 0.0000 0.8986 (multiplicity 1)
Sn: 0.5000 0.5000 0.4040 (multiplicity 1)
Sn: 0.5000 0.5000 0.5950 (multiplicity 1)
Sn: 0.5000 0.5000 0.7788 (multiplicity 1)
Sn: 0.5000 0.5000 0.9662 (multiplicity 1)

As for the total energy: -0.18463 hartree per atom. As for the density: 7.6 g/cm³. Its crystal system is orthorhombic.

***

No. 4
PrNiSn: relaxed, PBE.

a b c (Å): 7.4680 7.4680 4.0744
angles (deg): 90.00 90.00 120.00
Space group P-62m (No. 189)
Asymmetric unit:
Pr: 0.0000 0.5886 0.0000 (multiplicity 3)
Ni: 0.0000 0.0000 0.0000 (multiplicity 1)
Ni: 0.3333 0.6667 0.5000 (multiplicity 2)
Sn: 0.0000 0.2494 0.5000 (multiplicity 3)

As for the total energy: -0.20067 hartree per atom. As for the density: 8.1 g/cm³. Its crystal system is hexagonal.

***

No. 5
PrNi5Sn: relaxed, PBE.

a b c (Å): 4.9313 4.9313 19.7481
angles (deg): 90.00 90.00 120.00
Space group P6_3/mmc (No. 194)
Asymmetric unit:
Pr: 0.0000 0.0000 0.0000 (multiplicity 2)
Pr: 0.3333 0.6667 0.2500 (multiplicity 2)
Ni: 0.0000 0.0000 0.2500 (multiplicity 2)
Ni: 0.1657 0.3313 0.6460 (multiplicity 12)
Ni: 0.3333 0.6667 0.5434 (multiplicity 4)
Ni: 0.3333 0.6667 0.7500 (multiplicity 2)
• Activity:
Could you reproduce everything above with every line break kept?
• Written answer:
No. 1
PrNiSn: relaxed, PBE.

a b c (Å): 7.6201 4.6512 7.4976
angles (deg): 90.00 90.00 90.00
Space group Pnma (No. 62)
Asymmetric unit:
Pr: 0.0259 0.2500 0.1927 (multiplicity 4)
Ni: 0.1796 0.7500 0.4218 (multiplicity 4)
Sn: 0.1832 0.2500 0.5963 (multiplicity 4)

As for the total energy: -0.20089 hartree per atom. As for the density: 8.0 g/cm³. Its crystal system is orthorhombic.

***

No. 2
Pr9Ni24Sn49: relaxed, PBE.

a b c (Å): 16.9343 12.0039 17.1386
angles (deg): 90.00 90.23 90.00
Space group C2/m (No. 12)
Asymmetric unit:
Pr: 0.0000 0.0000 0.0000 (multiplicity 2)
Pr: 0.0001 0.2492 0.2495 (multiplicity 8)
Pr: 0.2500 0.2500 0.0000 (multiplicity 4)
Pr: 0.2500 0.2500 0.5000 (multiplicity 4)
Ni: 0.0803 0.3216 0.0802 (multiplicity 8)
Ni: 0.0806 0.0000 0.2398 (multiplicity 4)
Ni: 0.0807 0.1776 0.5801 (multiplicity 8)
Ni: 0.0810 0.5000 0.7407 (multiplicity 4)
Ni: 0.1602 0.3390 0.3391 (multiplicity 8)
Ni: 0.1608 0.1608 0.8394 (multiplicity 8)
Ni: 0.2403 0.0000 0.0795 (multiplicity 4)
Ni: 0.2405 0.5000 0.5799 (multiplicity 4)
Sn: 0.0003 0.5000 0.1310 (multiplicity 4)
Sn: 0.0000 0.5000 0.5000 (multiplicity 2)
Sn: 0.0012 0.0000 0.3703 (multiplicity 4)
Sn: 0.0594 0.5000 0.3142 (multiplicity 4)
Sn: 0.0634 0.0000 0.8064 (multiplicity 4)
Sn: 0.0626 0.2544 0.4369 (multiplicity 8)
Sn: 0.0649 0.2553 0.9356 (multiplicity 8)
Sn: 0.1218 0.3740 0.6225 (multiplicity 8)
Sn: 0.1277 0.5000 0.9977 (multiplicity 4)
Sn: 0.1296 0.0000 0.4986 (multiplicity 4)
Sn: 0.1302 0.1315 0.1300 (multiplicity 8)
Sn: 0.1831 0.5000 0.4414 (multiplicity 4)
Sn: 0.1841 0.3720 0.1857 (multiplicity 8)
Sn: 0.1858 0.1282 0.6839 (multiplicity 8)
Sn: 0.1859 0.1302 0.3157 (multiplicity 8)
Sn: 0.1860 0.3692 0.8127 (multiplicity 8)
Sn: 0.1949 0.0000 0.9362 (multiplicity 4)

The value obtained for the magnetization is 0.1 μB per cell. As for the total energy: -0.18280 hartree per atom. As for the density: 8.1 g/cm³. Its crystal system is monoclinic.

***

No. 3
Pr6Ni3Sn14: relaxed, PBE.

a b c (Å): 4.5853 4.5948 27.6939
angles (deg): 90.00 90.00 90.00
Space group Pmm2 (No. 25)
Asymmetric unit:
Pr: 0.0000 0.0000 0.0000 (multiplicity 1)
Pr: 0.0000 0.0000 0.3706 (multiplicity 1)
Pr: 0.0000 0.5000 0.4998 (multiplicity 1)
Pr: 0.0000 0.5000 0.8704 (multiplicity 1)
Pr: 0.5000 0.0000 0.6831 (multiplicity 1)
Pr: 0.5000 0.5000 0.1852 (multiplicity 1)
Ni: 0.5000 0.0000 0.5561 (multiplicity 1)
Ni: 0.5000 0.5000 0.0567 (multiplicity 1)
Ni: 0.5000 0.5000 0.3142 (multiplicity 1)
Sn: 0.0000 0.0000 0.1852 (multiplicity 1)
Sn: 0.0000 0.0000 0.5949 (multiplicity 1)
Sn: 0.0000 0.0000 0.7782 (multiplicity 1)
Sn: 0.0000 0.5000 0.0953 (multiplicity 1)
Sn: 0.0000 0.5000 0.2751 (multiplicity 1)
Sn: 0.0000 0.5000 0.6856 (multiplicity 1)
Sn: 0.5000 0.0000 0.0953 (multiplicity 1)
Sn: 0.5000 0.0000 0.2750 (multiplicity 1)
Sn: 0.5000 0.0000 0.4664 (multiplicity 1)
Sn: 0.5000 0.0000 0.8986 (multiplicity 1)
Sn: 0.5000 0.5000 0.4040 (multiplicity 1)
Sn: 0.5000 0.5000 0.5950 (multiplicity 1)
Sn: 0.5000 0.5000 0.7788 (multiplicity 1)
Sn: 0.5000 0.5000 0.9662 (multiplicity 1)

As for the total energy: -0.18463 hartree per atom. As for the density: 7.6 g/cm³. Its crystal system is orthorhombic.

***

No. 4
PrNiSn: relaxed, PBE.

a b c (Å): 7.4680 7.4680 4.0744
angles (deg): 90.00 90.00 120.00
Space group P-62m (No. 189)
Asymmetric unit:
Pr: 0.0000 0.5886 0.0000 (multiplicity 3)
Ni: 0.0000 0.0000 0.0000 (multiplicity 1)
Ni: 0.3333 0.6667 0.5000 (multiplicity 2)
Sn: 0.0000 0.2494 0.5000 (multiplicity 3)

As for the total energy: -0.20067 hartree per atom. As for the density: 8.1 g/cm³. Its crystal system is hexagonal.

***

No. 5
PrNi5Sn: relaxed, PBE.

a b c (Å): 4.9313 4.9313 19.7481
angles (deg): 90.00 90.00 120.00
Space group P6_3/mmc (No. 194)
Asymmetric unit:
Pr: 0.0000 0.0000 0.0000 (multiplicity 2)
Pr: 0.3333 0.6667 0.2500 (multiplicity 2)
Ni: 0.0000 0.0000 0.2500 (multiplicity 2)
Ni: 0.1657 0.3313 0.6460 (multiplicity 12)
Ni: 0.3333 0.6667 0.5434 (multiplicity 4)
Ni: 0.3333 0.6667 0.7500 (multiplicity 2)